• Activity:
Please echo the whole of the data below character by character.

• Entries:
........
Arrangement P

Here is one molecule with the formula C6H11N from the OMol25 dataset. Energies are from wB97M-V/def2-TZVPD.

Geometry as ORCA input:
```
! RIJCOSX wB97M-V def2-TZVPD def2/J DEFGRID3
* xyz 0 1
H 0.139 -0.773 -1.451
C 2.527 -0.312 0.310
N -0.663 0.840 1.281
H -1.411 1.451 1.480
H 0.823 0.852 -1.247
C 1.013 -0.409 0.506
H 3.073 -0.630 1.203
H 2.843 -0.944 -0.530
H 2.823 0.718 0.078
C 0.240 0.064 -0.762
H 0.768 -1.462 0.720
H -2.600 -0.448 -1.566
H -1.321 1.598 -0.793
H -2.106 -1.297 -0.098
C -2.313 -0.305 -0.509
H -3.205 0.090 -0.006
C 0.462 0.355 1.712
C -1.092 0.613 -0.328
*
```

The value obtained for the gap between HOMO and LUMO is 8.987 eV. Its LUMO energy is 0.9 eV.

Arrangement Q

Here is one molecule with the formula C6H11N from the OMol25 dataset. Energies are from wB97M-V/def2-TZVPD.

Geometry as ORCA input:
```
! RIJCOSX wB97M-V def2-TZVPD def2/J DEFGRID3
* xyz 0 1
H -1.336 -0.812 -2.823
C 2.002 -0.177 1.925
C -0.283 0.030 1.086
H 1.025 1.682 0.915
C 0.887 0.709 1.379
H -1.042 -0.061 1.869
H 2.982 -0.188 1.429
H -1.505 1.268 -1.901
H 1.733 -1.246 1.856
N -1.041 -1.544 -2.202
H -0.080 2.060 -1.222
H -0.972 -1.972 -0.176
H -0.611 -2.360 -2.588
C -0.967 1.474 -0.993
C -0.990 -1.122 -0.861
C -0.629 0.095 -0.370
H -1.445 2.159 -0.304
H 2.272 0.002 2.980
*
```

The value obtained for the gap between HOMO and LUMO is 7.484 eV. The SMILES is C/C=C/C(C)=C/N. Its LUMO energy is 0.5 eV.

Relative energies, in hartree, with the most stable structure set to zero: arrangement P 0.0000; arrangement Q 0.0774.

Arrangement P

Here is a 2-piece molecular cluster, C4H11NOS overall from the OMol25 dataset. Energies are from wB97M-V/def2-TZVPD.

Geometry as ORCA input:
```
! RIJCOSX wB97M-V def2-TZVPD def2/J DEFGRID3
* xyz 0 1
H -0.519 -0.663 -1.047
H -0.963 -0.737 3.288
H 1.156 -0.843 1.101
H -0.679 0.905 -3.393
O 1.475 1.691 -1.100
C 0.483 1.158 -0.572
H -0.163 0.629 2.550
C -0.550 -0.371 2.357
C -0.507 0.360 -1.353
H -1.522 0.785 -1.314
C 0.652 -1.241 2.000
N -0.012 0.431 -2.791
H 0.886 1.001 -2.707
H 0.325 -2.250 1.726
S -1.894 -0.321 1.095
H 1.374 -1.286 2.852
H 0.186 -0.510 -3.178
H 0.272 1.261 0.486
*
```

The value obtained for the gap between HOMO and LUMO is 5.442 eV. Its LUMO energy is -0.7 eV.

Arrangement Q

Here is one molecule with the formula C4H11NOS from the OMol25 dataset. Energies are from wB97M-V/def2-TZVPD.

Geometry as ORCA input:
```
! RIJCOSX wB97M-V def2-TZVPD def2/J DEFGRID3
* xyz 0 1
H 0.860 0.534 -1.470
H -1.022 0.266 2.548
H -0.110 -1.413 1.318
N -0.355 -1.006 -0.727
H 0.671 1.351 0.369
H 1.375 -1.288 0.412
C 0.639 0.571 1.132
H -0.308 1.968 2.525
H 1.600 0.473 1.632
H -2.013 0.424 0.260
C 0.386 -0.825 0.537
H 0.826 -0.678 -3.606
O 0.820 -1.112 -2.735
H -0.648 0.279 -2.349
S -1.945 1.626 0.851
C -0.535 1.053 1.988
H -0.407 -1.990 -0.861
C 0.167 -0.231 -1.824
*
```

The value obtained for the gap between HOMO and LUMO is 9.584 eV. The SMILES is OCNCCCS. Its LUMO energy is 0.9 eV.

Relative energies, in hartree, with the most stable structure set to zero: arrangement P 0.0707; arrangement Q 0.0000.

=====
........

• Worked solution:
Arrangement P

Here is one molecule with the formula C6H11N from the OMol25 dataset. Energies are from wB97M-V/def2-TZVPD.

Geometry as ORCA input:
```
! RIJCOSX wB97M-V def2-TZVPD def2/J DEFGRID3
* xyz 0 1
H 0.139 -0.773 -1.451
C 2.527 -0.312 0.310
N -0.663 0.840 1.281
H -1.411 1.451 1.480
H 0.823 0.852 -1.247
C 1.013 -0.409 0.506
H 3.073 -0.630 1.203
H 2.843 -0.944 -0.530
H 2.823 0.718 0.078
C 0.240 0.064 -0.762
H 0.768 -1.462 0.720
H -2.600 -0.448 -1.566
H -1.321 1.598 -0.793
H -2.106 -1.297 -0.098
C -2.313 -0.305 -0.509
H -3.205 0.090 -0.006
C 0.462 0.355 1.712
C -1.092 0.613 -0.328
*
```

The value obtained for the gap between HOMO and LUMO is 8.987 eV. Its LUMO energy is 0.9 eV.

Arrangement Q

Here is one molecule with the formula C6H11N from the OMol25 dataset. Energies are from wB97M-V/def2-TZVPD.

Geometry as ORCA input:
```
! RIJCOSX wB97M-V def2-TZVPD def2/J DEFGRID3
* xyz 0 1
H -1.336 -0.812 -2.823
C 2.002 -0.177 1.925
C -0.283 0.030 1.086
H 1.025 1.682 0.915
C 0.887 0.709 1.379
H -1.042 -0.061 1.869
H 2.982 -0.188 1.429
H -1.505 1.268 -1.901
H 1.733 -1.246 1.856
N -1.041 -1.544 -2.202
H -0.080 2.060 -1.222
H -0.972 -1.972 -0.176
H -0.611 -2.360 -2.588
C -0.967 1.474 -0.993
C -0.990 -1.122 -0.861
C -0.629 0.095 -0.370
H -1.445 2.159 -0.304
H 2.272 0.002 2.980
*
```

The value obtained for the gap between HOMO and LUMO is 7.484 eV. The SMILES is C/C=C/C(C)=C/N. Its LUMO energy is 0.5 eV.

Relative energies, in hartree, with the most stable structure set to zero: arrangement P 0.0000; arrangement Q 0.0774.

Arrangement P

Here is a 2-piece molecular cluster, C4H11NOS overall from the OMol25 dataset. Energies are from wB97M-V/def2-TZVPD.

Geometry as ORCA input:
```
! RIJCOSX wB97M-V def2-TZVPD def2/J DEFGRID3
* xyz 0 1
H -0.519 -0.663 -1.047
H -0.963 -0.737 3.288
H 1.156 -0.843 1.101
H -0.679 0.905 -3.393
O 1.475 1.691 -1.100
C 0.483 1.158 -0.572
H -0.163 0.629 2.550
C -0.550 -0.371 2.357
C -0.507 0.360 -1.353
H -1.522 0.785 -1.314
C 0.652 -1.241 2.000
N -0.012 0.431 -2.791
H 0.886 1.001 -2.707
H 0.325 -2.250 1.726
S -1.894 -0.321 1.095
H 1.374 -1.286 2.852
H 0.186 -0.510 -3.178
H 0.272 1.261 0.486
*
```

The value obtained for the gap between HOMO and LUMO is 5.442 eV. Its LUMO energy is -0.7 eV.

Arrangement Q

Here is one molecule with the formula C4H11NOS from the OMol25 dataset. Energies are from wB97M-V/def2-TZVPD.

Geometry as ORCA input:
```
! RIJCOSX wB97M-V def2-TZVPD def2/J DEFGRID3
* xyz 0 1
H 0.860 0.534 -1.470
H -1.022 0.266 2.548
H -0.110 -1.413 1.318
N -0.355 -1.006 -0.727
H 0.671 1.351 0.369
H 1.375 -1.288 0.412
C 0.639 0.571 1.132
H -0.308 1.968 2.525
H 1.600 0.473 1.632
H -2.013 0.424 0.260
C 0.386 -0.825 0.537
H 0.826 -0.678 -3.606
O 0.820 -1.112 -2.735
H -0.648 0.279 -2.349
S -1.945 1.626 0.851
C -0.535 1.053 1.988
H -0.407 -1.990 -0.861
C 0.167 -0.231 -1.824
*
```

The value obtained for the gap between HOMO and LUMO is 9.584 eV. The SMILES is OCNCCCS. Its LUMO energy is 0.9 eV.

Relative energies, in hartree, with the most stable structure set to zero: arrangement P 0.0707; arrangement Q 0.0000.

=====